The first comment on the blog is by me on December 17, 2008. The second is by someone named Kevin Smith the next day. He said:
Love the site and you will have to excuse Ted. He puts the very same messages on my blog concerning these issues. I will put a link in for my readers to visit here. Good site.
Early followers of the birther movement may remember someone posting as “Ted” who went all over the Internet spamming blogs with the same comments. I deleted Ted comments because they were spam, so I guess Ted may well have been the first commenter here. Kevin Smith’s own blog isn’t around any more. I preserved one of the Ted comments on my other blog, Blog or Die, from November 11, 2008, touting a YouTube video.
Since the blog’s inception, comments have been a vital part of our mission: to discuss the birthers and bring hard facts and sound argument to bear on these conspiracy theories. I collected a few of many exceptional comments on a Featured Comments page, but that hardly does justice to the full range of exceptional contributions.
Some contributors have been especially prolific and I list some top commenters here from among the 2,939 who have commented:
- Dr. Conspiracy – 21032
- misha marinsky – 9697
- G – 8992
- NBC – 8,838
- Majority Will – 7124
- Rickey – 6306
- Dr. Kenneth Noisewater – 5620
- Scientist – 5620
- Keith – 5398
- The Magic M – 4445
- CarlOrcas – 4059
- Lupin – 3961
- JPotter – 3850
- Arthur – 3589
- gorefan – 3499
- Andrew Vrba, PmG – 3176
- Slartibartfast – 3171
- bob – 3062
- Sef – 2844
- Black Lion – 2812
- richCares – 2761
- Daniel – 2649
- Greg – 2635
- Northland10 – 2344
- donna – 2344
- SFJeff – 2333
- Bovril – 2157
- Reality Check – 1959
- charo – 1953
- Dave B. – 1877
- bgansel9 – 1871
- Paper – 1801
- JoZeppy – 1789
- John – 1688
- Expelliarmus – 1619
- justlw – 1589
- Joey – 1500
- Jim – 1494
- RanTalbott – 1471
- Thrifty – 1431
- Curious George – 1367
- ballantine – 1362
- Dave – 1327
- Thomas Brown – 1263
- dunstvangeet – 1258
We’ve also had some notable birther commenters here, the first of which springs to mine is Dr. Ron Polland, and the most recent is Paul Irey. Others include Mario Apuzzo, Miki Booth, Jerry Collette, Tracy Fair, David Farrar, Bob Gard, Mark Gillar, Rick Hyatt, Sammy Korir, Robert Laity, Ken Olsen, Nancy Owens, Brooke Paige, Garrett Papit, Geir Smith, Lucas Smith, Christopher Strunk, Carl Swensson, Orly Taitz, Douglas Vogt and Cort Wrotnowski.
At its inception, I never expected the blog to be more than a few summary articles debunking birther rumors. My eventual corpus of 3,385 articles and 117 pages is due in no small part to the encouragement of commenters, and in many cases due to their suggestions. So thank you for a big part of my life.
Finally we arrive at the announcement of the 250,000th comment. And the winner is:
Andrew Vrba, PmG
Submitted on 2015/09/01 at 4:42 pmI refuse to believe that john exists.
Damn, nothing is happening to that effect.
Well john, I think that proves that just because you believe something, that doesn’t make it so.
It’s interesting that we started with a comment about Ted and ended up with a comment about John.
LOL! I am honored that my silly, yet accurate, comment made your milestone.
I miss reading misha’s comments. He must be doing some really deep undercover work for OARPA or something.
Congrats on being the Quarter-Million Man, Punchmaster! And regarding silly comments, I think Paul McCartney said it best:
You’d think that people would have had enough of silly comments.
But I Look around me and I see it isn’t so.
Some people wanna fill Doc’s blog with silly comments.
And what’s wrong with that?
I’d like to know, ’cause here I go again…
Stay silly, my friend!
The Lobster-droids are coming along nicely.
Thanks Doc for your excellent effort. Your dedication to the truth has made a difference.
Is that my total including when I was posting under Bob Ross?
I;m surprised to see that I am #6 on the list of posters. All I can say is that I have learned a lot on this blog!
I miss Misha (and G) too. I would like to tell him that I just found out that I was Jewish.
I guess with over 3,000 comments, I’ve put a significant chunk of my time into this place as well.
Thanks Doc!
Off topic, my apologies: Deposition Update
Court notice of depositions (hat tip to Tes at Fogbow) as of September 1, 2015 in Melendres v. Arpaio:
Still no Zullo ..
These calculated crystals were left in the page by mistake.
-- begin --
Density functional theory data (GGA+U) for a geometry-optimized MnHO2 structure.

Summary:
ρ: 4.119 g/cm³
E: -6.59 eV per atom
largest piezoelectric modulus: 0.6 C/m2
E_form: -1.73 eV/atom

POSCAR file:
```
MnHO2
1.0
-1.995 1.794 -3.611
-4.834 -1.120 2.114
-0.061 5.221 2.627
H Mn O
4 4 8
direct
0.941 0.525 0.001 H
0.559 0.025 0.249 H
0.559 0.025 0.749 H
0.941 0.525 0.501 H
0.477 0.514 0.251 Mn
0.023 0.014 0.498 Mn
0.477 0.514 0.752 Mn
0.023 0.014 0.999 Mn
0.745 0.628 0.501 O
0.264 0.888 0.249 O
0.755 0.128 0.749 O
0.264 0.888 0.749 O
0.745 0.628 0.001 O
0.755 0.128 0.249 O
0.236 0.388 0.501 O
0.236 0.388 0.001 O
```



Density functional theory data (GGA+U) for a geometry-optimized MnH2O2 structure.

Summary:
ρ: 3.114 g/cm³
E: -6.12 eV per atom
E_form: -1.56 eV/atom

POSCAR file:
```
MnH2O2
1.0
-3.980 -1.392 2.337
-3.701 2.509 -5.042
0.158 -5.182 -2.690
H Mn O
8 4 8
direct
0.404 0.739 0.121 H
0.405 0.488 0.621 H
0.551 0.231 0.794 H
0.551 0.980 0.294 H
0.405 0.988 0.621 H
0.404 0.239 0.121 H
0.551 0.480 0.294 H
0.551 0.731 0.794 H
0.978 0.485 0.955 Mn
0.978 0.233 0.455 Mn
0.978 0.733 0.455 Mn
0.978 0.985 0.955 Mn
0.203 0.986 0.619 O
0.754 0.981 0.291 O
0.203 0.486 0.620 O
0.202 0.739 0.119 O
0.753 0.731 0.791 O
0.202 0.239 0.120 O
0.754 0.481 0.292 O
0.753 0.231 0.791 O
```



Density functional theory data (GGA+U) for a geometry-optimized MnHO2 structure.

Summary:
ρ: 4.047 g/cm³
E: -6.54 eV per atom
M_tot: 4.0 μB per formula unit
crystal system: orthorhombic
E_form: -1.69 eV/atom

POSCAR file:
```
MnHO2
1.0
3.054 0.000 0.000
0.000 4.608 0.000
0.000 0.000 10.255
Mn H O
4 4 8
direct
0.000 0.214 0.000 Mn
0.000 0.786 0.500 Mn
0.500 0.281 0.712 Mn
0.500 0.719 0.212 Mn
0.000 0.164 0.262 H
0.000 0.836 0.762 H
0.500 0.344 0.432 H
0.500 0.656 0.932 H
0.000 0.038 0.798 O
0.000 0.482 0.157 O
0.000 0.518 0.657 O
0.000 0.962 0.298 O
0.500 0.021 0.559 O
0.500 0.449 0.908 O
0.500 0.551 0.408 O
0.500 0.979 0.059 O
```



Density functional theory data (GGA+U) for a geometry-optimized MnP2HO8 structure.

Summary:
ρ: 2.059 g/cm³
E: -6.35 eV per atom
M_tot: 2.0 μB per formula unit
crystal system: monoclinic
E_form: -1.70 eV/atom

POSCAR file:
```
MnP2HO8
1.0
7.861 0.000 0.000
0.000 5.746 0.000
-5.811 0.000 8.781
Mn P H O
2 4 2 16
direct
0.000 0.000 0.000 Mn
0.000 0.500 0.500 Mn
0.238 0.238 0.838 P
0.238 0.262 0.338 P
0.762 0.738 0.662 P
0.762 0.762 0.162 P
0.500 0.000 0.500 H
0.500 0.500 0.000 H
0.082 0.092 0.838 O
0.082 0.408 0.338 O
0.170 0.720 0.568 O
0.170 0.780 0.068 O
0.231 0.206 0.197 O
0.231 0.294 0.697 O
0.415 0.179 0.490 O
0.415 0.321 0.990 O
0.585 0.679 0.010 O
0.585 0.821 0.510 O
0.769 0.706 0.303 O
0.769 0.794 0.803 O
0.830 0.220 0.932 O
0.830 0.280 0.432 O
0.918 0.592 0.662 O
0.918 0.908 0.162 O
```



Density functional theory data (GGA+U) for a geometry-optimized MnP3H6O12 structure.

Summary:
ρ: 2.309 g/cm³
E: -6.35 eV per atom
M_tot: 4.0 μB per formula unit
crystal system: monoclinic
E_form: -2.02 eV/atom

POSCAR file:
```
MnP3H6O12
1.0
-- stop --
NOTICE of Deposition of Bill Knight, filed by Manuel de Jesus Ortega Melendres, Velia Meraz, Manuel Nieto, Jr, David Rodriguez, Jessica Quitugua Rodriguez, Somos America. (Wang, Cecillia) (Entered: 09/01/2015)
NOTICE of Deposition of Travis Anglin, filed by Manuel de Jesus Ortega Melendres, Velia Meraz, Manuel Nieto, Jr, David Rodriguez, Jessica Quitugua Rodriguez, Somos America. (Wang, Cecillia) (Entered: 09/01/2015)
NOTICE of Deposition of Stephen Fax, filed by Manuel de Jesus Ortega Melendres, Velia Meraz, Manuel Nieto, Jr, David Rodriguez, Jessica Quitugua Rodriguez, Somos America. (Wang, Cecillia) (Entered: 09/01/2015)
NOTICE of Deposition of John (“Jack”) MacIntyre, filed by Manuel de Jesus Ortega Melendres, Velia Meraz, Manuel Nieto, Jr, David Rodriguez, Jessica Quitugua Rodriguez, Somos America. (Wang, Cecillia) (Entered: 09/01/2015)
NOTICE of Deposition of Jonathan Knapp, filed by Manuel de Jesus Ortega Melendres, Velia Meraz, Manuel Nieto, Jr, David Rodriguez, Jessica Quitugua Rodriguez, Somos America. (Wang, Cecillia) (Entered: 09/01/2015)
NOTICE of Deposition of Joseph M. Arpaio, filed by Manuel de Jesus Ortega Melendres, Velia Meraz, Manuel Nieto, Jr, David Rodriguez, Jessica Quitugua Rodriguez, Somos America. (Wang, Cecillia) (Entered: 09/01/2015)
NOTICE of Deposition of Brett Palmer, filed by Manuel de Jesus Ortega Melendres, Velia Meraz, Manuel Nieto, Jr, David Rodriguez, Jessica Quitugua Rodriguez, Somos America. (Wang, Cecillia) (Entered: 09/01/2015)
NOTICE of Deposition of Mike Olson, filed by Manuel de Jesus Ortega Melendres, Velia Meraz, Manuel Nieto, Jr, David Rodriguez, Jessica Quitugua Rodriguez, Somos America. (Wang, Cecillia) (Entered: 09/01/2015)
NOTICE of Deposition of Joseph Sousa, filed by Manuel de Jesus Ortega Melendres, Velia Meraz, Manuel Nieto, Jr, David Rodriguez, Jessica Quitugua Rodriguez, Somos America. (Wang, Cecillia) (Entered: 09/01/2015)
NOTICE of Deposition of Brian Sands, filed by Manuel de Jesus Ortega Melendres, Velia Meraz, Manuel Nieto, Jr, David Rodriguez, Jessica Quitugua Rodriguez, Somos America. (Wang, Cecillia) (Entered: 09/01/2015)
NOTICE of Deposition of Brian Mackiewicz, filed by Manuel de Jesus Ortega Melendres, Velia Meraz, Manuel Nieto, Jr, David Rodriguez, Jessica Quitugua Rodriguez, Somos America. (Wang, Cecillia) (Entered: 09/01/2015)
I beg to differ. I was looking at Doc’s inaugural post for familiar names, the first one I recognized was a comment from Tes. She’s been here from the beginning too also.
Well I might have to file a law suit for underpayment of wages. You’d think that someone in the top 10 contributers would get paid what you promised to pay, yet I’ve only ever received about half of what I’m owed.
Whom do you think you is anyhow, 7-Eleven?
7-Eleven: wage fraud cover-up from head office
Wow, I made the top 45! And I figured my status was somewhere around “glorified lurker.” Stuff adds up, doesn’t it.
And yeah: Misha, you are missed.
Not too surprising: the deposition notices are all from the plaintiffs, who would be primarily concerned with (mis)conduct that directly affected their clients.
This does raise the question of who would normally take up an issue like the defendant trying to mess with the judge. Judge Snow did some of his own inquiring during the earlier hearing by directly questioning witnesses who’d already been called by one of the parties. But I’m not aware of judges calling witnesses, themselves, except in cases like coroners’ inquests. Is a contempt hearing handled on a similar basis?
I miss Misha and G too. Good times.
More than I thought. Then again, it’s been 6 years at least, but that’s still almost 3 comments a day? I thought my daily average was below 1.
Made the top 10? Wow.
As a layman, I would assume that “contempt of court” is something that the court has to be interested in pursuing, even if the plaintiffs don’t, as it goes to the heart of the justice system.
A little recognition for those posters who have been relegated to the naughty corner from Michael Leunig, Australia best loved ‘topical’ cartoonist:
You need to scroll to the ‘toon for Wednesday, September 2, 2015
And yes, I miss Misha too.
last time i saw anything of mischa online was just before i sent him a message with advice on sidecars, and he dropped off the face of the earth not long after.
i�’ve sent out a couple of messages to see if i can find out what�’s happened to him.
if i get any replies, i�’ll let you all know
Damn, I gotta step it up
If it makes you feel any better, I suspect that more than my share of posts are virtually content free.
We’ve learned a lot from you too.
Thanks Doc, I have very much enjoyed reading your articles and their accompanying comments by the many participants here. A well done contribution to truth, justice and the American way!
On the plus side, the nauseating Falcon aka Birdbrain seems to have vanished from Gerbil Report.
He’s still there but he posts maybe once a month now. I think he’s broken, now that A/Z day is cancelled, and no longer has the same fire he used to. Mmmmm crushed birther dreams! Soooo good!
I think I posted as Bob Ross for the first year or so. So I wonder if that was inclusive or that or just under Dr. Kenneth Noisewater.
And like The CandyMan, mention his name and he pops up, on the latest pile of merde at Birfoon Report mostly whining about the Ebil Wikud Scott who makes mock of him and in any case he’s a poopy head and I never said the Jade Helm was a plan to round up Gud ‘Merkans and send them to the Walmart ovens..n’uh huh
Or something……
No surprise really. Imagine Zoo Low being questioned officially, under oath and the penalty of perjury, about what his REAL activities were in the CCP!
‘Mr. Zoo Low, WHO and WHAT were you investigating? How were you investigating it? What were your findings? What chargeable crimes did you find evidence for? What did the appropriate governmental law enforcement agency say about your ‘evidence’. Why have your public statements about your possession of ‘universe-shattering evidence of criminal activity not resulted in criminal charges or indictments? During your investigation and contact with Monty Gummery, did the subject of ‘Birthering’ play ANY part in determining the course of any CCP investigation?
I suppose two things keep the conversation alive at this point, long after anyone dreamed that anyone would still be talking about birthers.
1) The insane birther hope that something will eventually happen to validate their idiotic beliefs keeps the birther side on life support, and
2) The ongoing schadenfreude of watching those insane hopes be slowly and irretrievably crushed beneath the slow-motion steamroller of reality keeps us here laughing our derrieres off.
And then there’s watching the lawless Sheriff Arpaio and those around him, hopefully, finally get their due in a court of law.
I think that Donald Trump is largely to credit/blame for the ongoing birther movement, for his publicizing it in 2011, and his renewal of birther themes in 2015.
Without Trump, there would have been no release of the long form, and the resulting cottage industry of incompetents claiming it was a forgery, and without the long form there would have been no Sheriff Arpaio/Zullo/Cold Case Posse investigation.
I rolled up the Bob Ross numbers for your total.
All of their big tough heroes turned out to be paper tigers.
I would love for the opening question at the next Republican debate to be “Raise your hand if you believe President Obama was born in the United States.”
I have been a lurker since the begining but wanted to thank everyone on this blog for the vast amount of well researched information. How can any reasonable man take a look at this blog and say gerbil report and conclude that birthers are actually human beings?
Repeated tactics like this, I believe, will eventually clear Trump from the playing field. Don’t treat him like a serious candidate if he believes in unserious ideas.
I would like to believe this.
But I suspect that the responses would be accompanied by a lot of quick sideward glances. Trump has been avoiding the question lately, and while I think he’d go birfer given a binary choice, I’m not certain.
And given the poll results showing how many Republicans are in fact birfers, I wonder how some of the other candidates would respond.
But, if the results were anything but unanimous, it could elevate birtherism to a major issue in the nomination fight. How I’d love to see that! And how would it get resolved? I wouldn’t expect Democrats to jump in and argue the anti-birther side. Can you imagine what the exchanges would be like between birther and non-birther Republicans? No matter how it went, I can’t see it emerging as a settled issue in the current climate.
I have it on good authority that he still does comment at other places from time to time, including recently. I do miss his comments here.
I’m also not certain, but on the opposite side: I think his avoidance is the product of an awareness that he’d be branded a loon, and be pressured to release the still-hidden findings of the PIs he allegedly sent to Hawaii. Which might embarrassingly reveal that they either:
a. didn’t exist, or
b. reported that there was no “there” there, making his subsequent birfering a foolish bluff.
Me, too. And I’d also love to watch the fun that would ensue as the candidates agonized over whether to pander to the crazies in the GOP base, with the almost-certain knowledge that it would kill their chances if the general election margin were close, and the small-but-real possibility that not doing so would kill their chances of nomination.
Aside from the amusement value, it would also be a good test of whether they have ability a president needs to tell the public unpleasant truths.
I’m happy to hear that, because we know that he had (has?) some health issues.
I think for some candidates (e.g., Bush, Walker, Rubio), the smarter play is to run as the electable person, which includes doing things like calling Trump on his nonsense.
At this point, I think the GOP’s financial backers are trying to gauge how much they need to spend to sink Trump; if he’ll do it on his own, then there’s no need to waste good money.
In a sane world, definitely. But look at the crosstabs on that PPP poll: while there are smaller percentages of crazies among their supporters, they’re not insignificant, and the lessons learned by Perry and Graham are still fresh.
On the plus side, the new Des Moines Register poll says there are fewer birfoons among the Iowa electorate, but they still only got only 42% “Yes, he was born here” responses.
Congratulations Doc. The number of comments is a tribute to the quality of the blog you created and maintained. I always look forward to reading your articles and the comments they generate. It will be sad to see it all end next year but life moves on and the ultimate Birther failure will be consecrated on 1/20/2017.
Thanks Doc… and all the usual suspects too… you guys done good.
Some contributors…..where’s my name….lol??
jayHG – 576 (+ 1)
Benji Franklin
“No surprise really. Imagine Zoo Low being questioned officially, under oath and the penalty of perjury, about what his REAL activities were in the CCP!
‘Mr. Zoo Low, WHO and WHAT were you investigating? How were you investigating it? What were your findings? What chargeable crimes did you find evidence for? What did the appropriate governmental law enforcement agency say about your ‘evidence’. Why have your public statements about your possession of ‘universe-shattering evidence of criminal activity not resulted in criminal charges or indictments? During your investigation and contact with Monty Gummery, did the subject of ‘Birthering’ play ANY part in determining the course of any CCP investigation?”
And last but not least, “Were you running a scam on the American public ?”
I suppose Zullo is frantically rehearsing counting to five so he can plead the respective right.
I don’t think his knowledge of the Constitution goes much past “When in the course of human events…”. So why would he need to know how many fingers he was (probably) born with?
Zullo: “I take the… waitaminute, Shurf Joe told me what it was, number of fingers on one… first, second, thumb… wait, I got this… force fist?”
Arpaio (muffled): “*Ahum* Fifth! *ahum*”
Judge Snow: “I heard that!”
Arpaio (apprehensive): “Who said that? Is that you, Jesus?”
Atty Iafrate: “Your honour, we move to call Jesus The Lord Saved Her, uh, Saviour, to the stand! He can testify as to Your Honor’s bias towards our client because he is omniscient.”
Plaintiff atty: “Objection! This witness was not properly served.”
Arpaio: “Yeah he was. I just said a prayer.”
Judge Snow: “You are in contempt of reality. Guilty!”
Just wanted Doc & everyone else to know that I do still check in here from time to time and catch up on reading articles. Other things in life have kept me busy and as I am usually “not current” when getting around to reading here, I’ve simply gone back to “lurking” as I did in the early days instead of participating. Usually by the time I get to see an article or read its comments – either the comments have been closed or pretty much anything I thought to say has already been said by the clever and talented group that frequents this place.
Congrats on the milestone Doc and on the always excellent blog… and yeah, I miss you guys too!
..Can’t believe I posted that many comments here and am still that high in the rankings…even after being “quiet” for so long… ROTFL.
Hi G, Charo here. We could always have a few laughs. My son showed me this, and I believe you are a commenter who would appreciate the “illumaniti” video. The link length was horrible so I used tinyurl. I hope it works! You have to watch it through to get the full effect.
wow- I started to do the math for how much of my life I spend posting comments here but decided against it. I was a rare commenter elsewhere during the time frame so there’s that.
Life does march on. My son is now a junior and has been recruited by a college for lacrosse. He was in 6th grade the first time I offered my first awesome comment. haha
*sniffles* In last place…
I’ll have to do better if I want to qualify for that O-Bot bonus that George Soros is handing out.
Hi Charo! OMG…that “Illuminati” video was hilarious! It was worth the “2 bad puns”.
Thanks and great to hear from you too! Wow…your son is now a Junior in HS!!! How time flies! Hope everything else is going well.
Hi G! Good to know you’re still around! I don’t think I have a good email address for you anymore, can you drop me a line at (first name)@(last name).net?
Kevin Kesseler
Hardly: you’re #45 out of 2,939 posters. That puts you in the top 2%. Even without counting all the lurkers who never posted at all. So stand tall, and be proud: you’re in the OCT version of Mensa
Hey Slarti! I sent you an email.
Didn’t get it—did you spill my last name right? (There’s an “E” before the “L”)
Welcome back! It’s good to know all’s well!
Doc waves.